Now echo the entries underneath with every line break kept.

-- begin --
Entry 1:
65
Properties=species:S:1:pos:R:3 method="wB97M-V/def2-TZVPD" e_lumo_ev=1.76 gap_ev=4.1 homo_ev=-2.39 charge=-1 multiplicity=1
Pd 0.06 0.67 -0.02
Se -2.81 -1.81 0.73
S 0.11 -0.16 4.54
S 4.70 -0.05 -0.04
Si -0.04 0.24 -4.99
N -1.87 0.54 2.73
N 0.33 0.42 2.06
N -1.73 1.32 0.24
N -1.10 -1.66 0.23
N -2.88 -3.55 0.32
N 2.13 0.11 0.14
N 2.86 -0.13 -2.07
C -1.50 3.75 0.13
C 3.96 -0.01 1.54
C -0.03 0.59 -3.18
C 1.67 0.75 -5.68
C -0.71 -2.85 -0.24
C -3.63 2.60 -0.27
C -0.04 3.73 0.45
C 2.60 0.08 1.44
C -0.05 -5.42 -1.05
C -0.26 -1.62 -5.35
C 0.88 -4.39 -1.16
C -1.32 -5.20 -0.57
C -4.25 3.83 -0.39
C 1.60 0.10 2.48
C -1.68 -3.91 -0.16
C -1.43 1.22 -5.87
C 0.57 -3.11 -0.76
C -0.59 0.30 2.97
C -0.05 0.79 -1.98
C -4.38 1.32 -0.47
C -2.18 4.95 0.03
C -3.54 5.01 -0.22
C -2.23 2.52 0.01
C 3.08 0.02 -0.74
C 1.69 -0.21 3.80
H 0.13 3.31 1.45
H 0.38 4.73 0.41
H 1.27 -2.29 -0.85
H -0.26 -1.82 -6.42
H 1.94 1.76 -5.36
H 4.57 -0.02 2.42
H -2.57 0.40 3.42
H 3.60 0.11 -2.70
H -2.40 0.86 -5.55
H 2.54 -0.51 4.38
H 0.49 3.10 -0.30
H -1.38 2.28 -5.62
H -2.05 0.76 1.67
H -4.05 5.96 -0.28
H -2.05 -6.00 -0.50
H -1.19 -1.99 -4.94
H -3.81 0.65 -1.11
H -5.35 1.50 -0.92
H 1.87 -4.60 -1.56
H -1.62 5.87 0.17
H -1.37 1.13 -6.95
H 0.23 -6.42 -1.35
H 2.44 0.08 -5.31
H 0.54 -2.19 -4.90
H 1.70 0.73 -6.76
H -5.31 3.87 -0.60
H 1.90 0.05 -2.38
H -4.51 0.81 0.49

***

Entry 2:
17
Properties=species:S:1:pos:R:3 method="wB97M-V/def2-TZVPD" e_lumo_ev=-3.07 gap_ev=12.7 homo_ev=-15.78 charge=+1 multiplicity=1
O -0.48 1.96 2.18
N -0.04 0.27 -0.35
C -1.19 -1.82 -0.67
C 0.25 -1.25 -0.68
C 1.33 0.88 -0.57
H -0.76 1.63 3.03
H -0.42 2.93 2.29
H -0.10 0.27 0.66
H 0.77 -1.17 -1.64
H -1.96 -1.27 -1.19
H -1.27 -2.87 -0.99
H 1.51 1.28 -1.57
H -0.85 0.72 -0.76
H 0.91 -1.61 0.10
H 1.42 1.72 0.12
H -1.31 -1.89 0.40
H 2.19 0.23 -0.35

***

Entry 3:
19
Properties=species:S:1:pos:R:3 method="wB97M-V/def2-TZVPD" s_squared=0.8124 e_lumo_ev="-13.79 / -13.85" gap_ev="6.6 / 7.5" homo_ev="-20.35 / -21.36" charge=+2 multiplicity=2
N -0.68 0.40 -1.26
N -0.50 -1.57 0.74
C 0.77 -2.14 1.20
C -1.19 -0.69 1.65
C 0.02 1.39 -1.94
C 0.88 2.23 -1.00
H 1.49 2.93 -1.54
H 0.73 -3.18 0.84
H -0.51 -1.11 -0.21
H -1.33 -1.17 2.62
H -0.64 2.05 -2.52
H 0.35 2.52 -0.11
H 1.68 -1.68 0.85
H -1.52 0.05 -1.73
H 1.76 1.66 -0.57
H -2.20 -0.38 1.37
H 0.78 0.85 -2.56
H -0.59 0.21 1.90
H 0.71 -2.37 2.27

***

Entry 4:
21
Properties=species:S:1:pos:R:3 method="wB97M-V/def2-TZVPD" s_squared=0.7633 e_lumo_ev="1.00 / -2.15" gap_ev="10.1 / 6.8" homo_ev="-9.05 / -8.92" multiplicity=2
O 2.93 -1.69 -0.21
N 0.71 -0.89 0.46
N -1.94 0.09 0.17
C 1.96 -1.98 0.54
C -2.78 1.01 1.08
C 1.58 0.60 -1.32
C -0.79 0.81 -0.51
C 0.31 -0.22 -0.78
H 1.45 -2.87 0.46
H -3.62 1.40 0.47
H -0.25 1.65 -0.03
H -0.01 -1.13 -1.42
H -3.11 0.30 1.96
H 1.81 1.43 -0.64
H 0.92 -0.11 1.06
H 2.28 -1.79 1.59
H -2.26 1.88 1.48
H 1.25 1.10 -2.24
H 2.38 -0.17 -1.52
H -1.46 -0.66 0.76
H -1.34 1.24 -1.36

***

Here are the calculated strongest force on any atom numbers, same order: 2.1 4.6 3.8 4.2 (eV Å⁻¹).
Here are the calculated energy relative to the best compared isomer or geometry (same formula, charge and spin) numbers, same order: 0.000 1.212 5.876 3.271 (eV).


{"formula": "C2Cl2N2S", "method": "ωB97M-V with the def2-TZVPD basis set", "lumo_energy_ha": [-0.019, -0.019], "total_energy_ha": -1504.097770, "charge": 0, "orbital_gap_ev": [8.17, 8.17], "species": ["C", "C", "N", "N", "S", "Cl", "Cl"], "xyz": [[-0.9693, -0.4223, 0.6528], [0.3844, 0.5701, -1.0351], [0.0134, -0.6316, 1.3270], [1.2571, -0.6856, 1.0453], [1.7368, -0.0036, -0.4198], [-2.4840, -0.0156, 1.0152], [0.0616, 1.1886, -2.5854]], "atomic_forces_ev_per_a": [[0.9, 1.0, -2.2], [-1.3, -0.7, 0.7], [1.7, -0.8, 0.0], [1.1, -0.2, 1.1], [-0.7, 0.2, -0.3], [-1.9, 0.6, 0.1], [0.2, -0.2, 0.5]]}
-- stop --

Entry 1:
65
Properties=species:S:1:pos:R:3 method="wB97M-V/def2-TZVPD" e_lumo_ev=1.76 gap_ev=4.1 homo_ev=-2.39 charge=-1 multiplicity=1
Pd 0.06 0.67 -0.02
Se -2.81 -1.81 0.73
S 0.11 -0.16 4.54
S 4.70 -0.05 -0.04
Si -0.04 0.24 -4.99
N -1.87 0.54 2.73
N 0.33 0.42 2.06
N -1.73 1.32 0.24
N -1.10 -1.66 0.23
N -2.88 -3.55 0.32
N 2.13 0.11 0.14
N 2.86 -0.13 -2.07
C -1.50 3.75 0.13
C 3.96 -0.01 1.54
C -0.03 0.59 -3.18
C 1.67 0.75 -5.68
C -0.71 -2.85 -0.24
C -3.63 2.60 -0.27
C -0.04 3.73 0.45
C 2.60 0.08 1.44
C -0.05 -5.42 -1.05
C -0.26 -1.62 -5.35
C 0.88 -4.39 -1.16
C -1.32 -5.20 -0.57
C -4.25 3.83 -0.39
C 1.60 0.10 2.48
C -1.68 -3.91 -0.16
C -1.43 1.22 -5.87
C 0.57 -3.11 -0.76
C -0.59 0.30 2.97
C -0.05 0.79 -1.98
C -4.38 1.32 -0.47
C -2.18 4.95 0.03
C -3.54 5.01 -0.22
C -2.23 2.52 0.01
C 3.08 0.02 -0.74
C 1.69 -0.21 3.80
H 0.13 3.31 1.45
H 0.38 4.73 0.41
H 1.27 -2.29 -0.85
H -0.26 -1.82 -6.42
H 1.94 1.76 -5.36
H 4.57 -0.02 2.42
H -2.57 0.40 3.42
H 3.60 0.11 -2.70
H -2.40 0.86 -5.55
H 2.54 -0.51 4.38
H 0.49 3.10 -0.30
H -1.38 2.28 -5.62
H -2.05 0.76 1.67
H -4.05 5.96 -0.28
H -2.05 -6.00 -0.50
H -1.19 -1.99 -4.94
H -3.81 0.65 -1.11
H -5.35 1.50 -0.92
H 1.87 -4.60 -1.56
H -1.62 5.87 0.17
H -1.37 1.13 -6.95
H 0.23 -6.42 -1.35
H 2.44 0.08 -5.31
H 0.54 -2.19 -4.90
H 1.70 0.73 -6.76
H -5.31 3.87 -0.60
H 1.90 0.05 -2.38
H -4.51 0.81 0.49

***

Entry 2:
17
Properties=species:S:1:pos:R:3 method="wB97M-V/def2-TZVPD" e_lumo_ev=-3.07 gap_ev=12.7 homo_ev=-15.78 charge=+1 multiplicity=1
O -0.48 1.96 2.18
N -0.04 0.27 -0.35
C -1.19 -1.82 -0.67
C 0.25 -1.25 -0.68
C 1.33 0.88 -0.57
H -0.76 1.63 3.03
H -0.42 2.93 2.29
H -0.10 0.27 0.66
H 0.77 -1.17 -1.64
H -1.96 -1.27 -1.19
H -1.27 -2.87 -0.99
H 1.51 1.28 -1.57
H -0.85 0.72 -0.76
H 0.91 -1.61 0.10
H 1.42 1.72 0.12
H -1.31 -1.89 0.40
H 2.19 0.23 -0.35

***

Entry 3:
19
Properties=species:S:1:pos:R:3 method="wB97M-V/def2-TZVPD" s_squared=0.8124 e_lumo_ev="-13.79 / -13.85" gap_ev="6.6 / 7.5" homo_ev="-20.35 / -21.36" charge=+2 multiplicity=2
N -0.68 0.40 -1.26
N -0.50 -1.57 0.74
C 0.77 -2.14 1.20
C -1.19 -0.69 1.65
C 0.02 1.39 -1.94
C 0.88 2.23 -1.00
H 1.49 2.93 -1.54
H 0.73 -3.18 0.84
H -0.51 -1.11 -0.21
H -1.33 -1.17 2.62
H -0.64 2.05 -2.52
H 0.35 2.52 -0.11
H 1.68 -1.68 0.85
H -1.52 0.05 -1.73
H 1.76 1.66 -0.57
H -2.20 -0.38 1.37
H 0.78 0.85 -2.56
H -0.59 0.21 1.90
H 0.71 -2.37 2.27

***

Entry 4:
21
Properties=species:S:1:pos:R:3 method="wB97M-V/def2-TZVPD" s_squared=0.7633 e_lumo_ev="1.00 / -2.15" gap_ev="10.1 / 6.8" homo_ev="-9.05 / -8.92" multiplicity=2
O 2.93 -1.69 -0.21
N 0.71 -0.89 0.46
N -1.94 0.09 0.17
C 1.96 -1.98 0.54
C -2.78 1.01 1.08
C 1.58 0.60 -1.32
C -0.79 0.81 -0.51
C 0.31 -0.22 -0.78
H 1.45 -2.87 0.46
H -3.62 1.40 0.47
H -0.25 1.65 -0.03
H -0.01 -1.13 -1.42
H -3.11 0.30 1.96
H 1.81 1.43 -0.64
H 0.92 -0.11 1.06
H 2.28 -1.79 1.59
H -2.26 1.88 1.48
H 1.25 1.10 -2.24
H 2.38 -0.17 -1.52
H -1.46 -0.66 0.76
H -1.34 1.24 -1.36

***

Here are the calculated strongest force on any atom numbers, same order: 2.1 4.6 3.8 4.2 (eV Å⁻¹).
Here are the calculated energy relative to the best compared isomer or geometry (same formula, charge and spin) numbers, same order: 0.000 1.212 5.876 3.271 (eV).


{"formula": "C2Cl2N2S", "method": "ωB97M-V with the def2-TZVPD basis set", "lumo_energy_ha": [-0.019, -0.019], "total_energy_ha": -1504.097770, "charge": 0, "orbital_gap_ev": [8.17, 8.17], "species": ["C", "C", "N", "N", "S", "Cl", "Cl"], "xyz": [[-0.9693, -0.4223, 0.6528], [0.3844, 0.5701, -1.0351], [0.0134, -0.6316, 1.3270], [1.2571, -0.6856, 1.0453], [1.7368, -0.0036, -0.4198], [-2.4840, -0.0156, 1.0152], [0.0616, 1.1886, -2.5854]], "atomic_forces_ev_per_a": [[0.9, 1.0, -2.2], [-1.3, -0.7, 0.7], [1.7, -0.8, 0.0], [1.1, -0.2, 1.1], [-0.7, 0.2, -0.3], [-1.9, 0.6, 0.1], [0.2, -0.2, 0.5]]}